Strategic Workforce Planning: A Value Adding 5-Step Process
Business insights
# What comes next are crystal structures, not part of the piece
____________
The following is a simulated X-ray diffraction stick pattern of CaSi2F8. It was derived from a structure optimized by DFT (GGA-PBE), using Cu Kα (λ = 1.5418 Å).
Lines closer than 0.1° are merged.

Cell and atoms:
a = 5.4027 Å, b = 5.4027 Å, c = 6.5224 Å
α = 112.42°, β = 112.42°, γ = 59.55°
Element x y z (fractional)
Ca1 0.0000 0.0000 0.0000
Si1 0.1370 0.1370 0.6301
Si2 0.8630 0.8630 0.3699
F1 0.1163 0.6472 0.2084
F2 0.1796 0.1796 0.3926
F3 0.3340 0.3340 0.7851
F4 0.3528 0.8837 0.7916
F5 0.6472 0.1163 0.2084
F6 0.6660 0.6660 0.2149
F7 0.8204 0.8204 0.6074
F8 0.8837 0.3528 0.7916

Main lines, most intense first (2θ = 10–90°):
2θ 19.61, I 100
2θ 39.14, I 47
2θ 31.12, I 37
2θ 44.77, I 32
2θ 44.44, I 29
2θ 21.80, I 27

=====

The following is a simulated X-ray diffraction stick pattern of Tb3GaCu4. It was derived from a structure optimized by DFT (GGA-PBE), using Cu Kα (λ = 1.5418 Å).
Lines closer than 0.1° are merged.

Cell and atoms:
a = 8.5591 Å, b = 8.5591 Å, c = 8.5591 Å
α = 154.86°, β = 140.36°, γ = 47.52°
Element x y z (fractional)
Tb1 0.0000 0.0000 0.0000
Tb2 0.2902 0.7902 0.5000
Tb3 0.7098 0.2098 0.5000
Ga1 0.5000 0.5000 0.0000
Cu1 0.0919 0.3794 0.7125
Cu2 0.3331 0.6206 0.7125
Cu3 0.6669 0.3794 0.2875
Cu4 0.9081 0.6206 0.2875

Main lines, most intense first (2θ = 10–90°):
2θ 30.72, I 100
2θ 38.61, I 41
2θ 37.50, I 39
2θ 22.91, I 25
2θ 39.79, I 21
2θ 54.73, I 19

=====

The following is a simulated X-ray diffraction stick pattern of Th3MgZn4. It was derived from a structure optimized by DFT (GGA-PBE), using Cu Kα (λ = 1.5418 Å).
Lines closer than 0.1° are merged.

Cell and atoms:
a = 9.1482 Å, b = 9.1482 Å, c = 9.1482 Å
α = 31.79°, β = 31.79°, γ = 31.79°
Element x y z (fractional)
Th1 0.0000 0.0000 0.0000
Th2 0.2451 0.2451 0.2451
Th3 0.7549 0.7549 0.7549
Mg1 0.5000 0.5000 0.5000
Zn1 0.1276 0.1276 0.1276
Zn2 0.3761 0.3761 0.3761
Zn3 0.6239 0.6239 0.6239
Zn4 0.8724 0.8724 0.8724

Main lines, most intense first (2θ = 10–90°):
2θ 34.45, I 100
2θ 35.84, I 93
2θ 24.66, I 40
2θ 63.52, I 34
2θ 50.56, I 34
2θ 60.79, I 18

=====

The following is a simulated X-ray diffraction stick pattern of Zn4GaPd3. It was derived from a structure optimized by DFT (GGA-PBE), using Cu Kα (λ = 1.5418 Å).
Lines closer than 0.1° are merged.

Cell and atoms:
a = 8.5859 Å, b = 8.5859 Å, c = 3.5713 Å
α = 101.79°, β = 101.79°, γ = 26.90°
Element x y z (fractional)
Zn1 0.1243 0.1243 0.1248
Zn2 0.2474 0.2474 0.7475
Zn3 0.7526 0.7526 0.2525
Zn4 0.8757 0.8757 0.8752
Ga1 0.5000 0.5000 0.0000
Pd1 0.0000 0.0000 0.5000
Pd2 0.3713 0.3713 0.3703
Pd3 0.6287 0.6287 0.6297

Main lines, most intense first (2θ = 10–90°):
2θ 40.40, I 100
2θ 40.51, I 99
2θ 44.38, I 38
2θ 45.42, I 36
2θ 51.16, I 25
2θ 65.38, I 23

=====

The following is a simulated X-ray diffraction stick pattern of MgIn3S4. It was derived from a structure optimized by DFT (GGA-PBE), using Cu Kα (λ = 1.5418 Å).
Lines closer than 0.1° are merged.

Cell and atoms:
a = 6.6082 Å, b = 6.6082 Å, c = 6.6082 Å
____________
# The piece goes on
Business insights
Workforce planning is a process that is often poorly understood and rarely implemented within organisations. One reason is that it implies long-term thinking. This can be in contradiction with the short-term orientation of companies. However, the ability to effectively anticipate future labour needs and match them with the organisation’s trajectory is a necessity for HR departments. We've outlined a simple 5-step process that gives insight into how to approach workforce planning for your business. But first, let’s define what workforce planning is.
Workforce planning analyses a company’s strategic objectives, anticipates their impact on the organisation’s operating activities and accurately plans the human resources needed to achieve these objectives. Workforce planning typically involves asking both qualitative and quantitative questions: How many staff do I need? With what type of skills? In what type of organisational structure? For how long?
At first, this process may seem very straightforward. In practice, however, the data needed to establish workforce requirements and staffing needs are not readily available or remain highly speculative. Yet, strategic workforce planning is becoming indispensable in an ever-changing labour market and is key to the company’s overall success.
At first, this process may seem very straightforward. In practice, however, the data needed to establish workforce requirements and staffing needs are not readily available or remain highly speculative. Yet, strategic workforce planning is becoming indispensable in an ever-changing labour market and is key to the company’s overall success.
The first step in the workforce planning process is to make an inventory of the human resources currently available in the company, both in quantity and quality. The following employee data should be collected: age pyramid by job group, education level, technical training, professional experience, skills and career aspirations. The goal is to make a thorough assessment of the level of qualification of each employee.
The second step in the workforce planning process is to assess how the employee data you collected in step 1 will evolve at different time periods (e.g., 6 months, 1 year, 2 years). For each job category, you need to apply the effective turnover rate. This means subtracting the projected departures due to retirement, resignation or transfer and adding the arrivals from other job categories. This will provide a clear overview of the workforce available for each department or team at a specific point in time. Hence, strategic workforce planning cannot be approached as a one-off exercise. It must be part of a sustainable and iterative process, allowing continuous alignment of resources to the company’s needs.
The third step in the workforce planning process is to make an inventory of the positions currently occupied. Here, you should not forget to mention all the characteristics related to the job itself. For each job, you need to establish a comprehensive task analysis that includes a detailed description of manual and mental activities, an assessment of the tools and equipment used, the required level of performance and the working conditions.
The fourth step in the workforce planning process is to make an estimation of the future demand for labour based on sales forecasts, internal restructuring, the introduction of new technologies, business diversification or expansion, union constraints and any other relevant internal or external factors. At this stage, your estimations should be communicated to the top management. C-level company leaders should be informed about any issues and challenges that may arise from meeting these newly identified labour needs.
The final step in the workforce planning process is to match labour supply with demand and identify potential gaps. Three scenarios are then possible:
Strategic workforce planning is still rarely implemented in companies. Like any planning exercise, it is difficult to quantify its impact and it is often regarded as a non-value adding activity. Often because its value can only be measured at a specific point in time. But this is a mistake. Human Resources departments must convince their companies of the importance of strategic workforce planning.
Failing to do so can bring the organisation into a delicate situation. For example, if the company finds itself with a sudden shortage or surplus of staff, the impact on the HR department will be huge. More efforts will have to be made in order to hire new talent or relocate others accordingly.
This is why workforce planning should be considered a critical task by any HR department. It should take into consideration the company’s strategic focus and make sure every stakeholder is aligned towards achieving the same goal.